The reader should transcribe only the last part of the block below, starting with the line that has "1.0108 4.0568".

=====
4
Lattice="-2.4055 3.3579 -1.7601 -2.5046 -2.5751 -1.4898 -4.2766 -1.0260 3.8873" Properties=species:S:1:pos:R:3 comment="Y2TeRu, optimized geometry, DFT GGA-PBE" dos_ef_per_ev_cell=1.24 spacegroup="Amm2 (38)" m_tot_mub_per_cell=0.000 e_form_raw_mev_per_atom=-725 pbc="T T T"
Y -6.4308 -3.4571 2.1933
Y -3.3392 0.6422 0.0619
Ru -3.6843 -2.2981 0.6510
Te -5.9042 -0.5318 1.3275



6
Lattice="0.0000 4.3823 4.3823 4.3823 0.0000 4.3823 4.3823 4.3823 0.0000" Properties=species:S:1:pos:R:3 comment="YTe4Ru, optimized geometry, DFT GGA-PBE" dos_ef_per_ev_cell=4.35 spacegroup="F-43m (216)" m_tot_mub_per_cell=2.202 e_form_raw_mev_per_atom=659 pbc="T T T"
Y 6.5734 6.5734 6.5734
Te 3.2812 5.4834 5.4834
Te 5.4834 5.4834 3.2812
Te 5.4834 3.2812 5.4834
Te 3.2812 3.2812 3.2812
Ru 0.0000 0.0000 0.0000



20
Lattice="3.9869 0.0000 0.0000 0.0000 11.2727 -3.5981 0.0000 0.6395 12.7291" Properties=species:S:1:pos:R:3 comment="Y6Te3Ru, optimized geometry, DFT GGA-PBE" dos_ef_per_ev_cell=15.80 spacegroup="P2_1/m (11)" m_tot_mub_per_cell=0.000 e_form_raw_mev_per_atom=-819 pbc="T T T"
Y 2.9902 5.8928 6.5137
Y 0.9967 6.0194 2.6173
Y 2.9902 10.7267 -1.5780
Y 0.9967 1.1855 10.7090
Y 2.9902 4.8489 -0.1199
Y 0.9967 7.0633 9.2509
Y 2.9902 8.9599 1.2785
Y 0.9967 2.9523 7.8525
Y 2.9902 1.3337 5.2466
Y 0.9967 10.5785 3.8844
Y 2.9902 9.4360 6.8514
Y 0.9967 2.4761 2.2796
Te 2.9902 4.7362 9.5275
Te 0.9967 7.1760 -0.3965
Te 2.9902 7.8850 4.1552
Te 0.9967 4.0272 4.9758
Te 2.9902 1.8132 0.0336
Te 0.9967 10.0990 9.0974
Ru 2.9902 0.8869 8.5967
Ru 0.9967 11.0253 0.5344



24
Lattice="4.0433 0.0000 0.0000 0.0000 8.1326 0.0000 0.0000 0.0000 19.4828" Properties=species:S:1:pos:R:3 comment="Y4TeRu, optimized geometry, DFT GGA-PBE" dos_ef_per_ev_cell=23.45 polymorph_energy_mev_per_atom=0.0 spacegroup="Pnma (62)" m_tot_mub_per_cell=0.000 e_form_raw_mev_per_atom=-651 pbc="T T T"
Y 3.0325 7.0101 12.5457
Y 1.0108 1.1226 6.9372
Y 1.0108 5.1889 2.8043
Y 3.0325 2.9438 16.6786
Y 3.0325 6.9804 8.8241
Y 1.0108 1.1522 10.6588
Y 1.0108 5.2186 18.5655
Y 3.0325 2.9141 0.9173
Y 3.0325 0.0095 18.1629
Y 1.0108 8.1231 1.3200
Y 1.0108 4.0568 8.4215
Y 3.0325 4.0758 11.0614
Y 3.0325 7.7643 4.1833
Y 1.0108 0.3684 15.2996
Y 1.0108 4.4347 13.9247
Y 3.0325 3.6979 5.5582
Te 3.0325 6.0511 15.7537
Te 1.0108 2.0816 3.7291
Te 1.0108 6.1479 6.0123
Te 3.0325 1.9848 13.4705
Ru 3.0325 1.9946 8.7638
Ru 1.0108 6.1381 10.7190
Ru 1.0108 2.0718 18.5053
Ru 3.0325 6.0609 0.9776



5
Lattice="-1.1218 2.9403 4.2934 -4.4437 -1.8198 0.0852 1.6790 -3.9526 3.1457" Properties=species:S:1:pos:R:3 comment="Y2ZnTeRu, optimized geometry, DFT GGA-PBE" dos_ef_per_ev_cell=5.89 spacegroup="P4/mmm (123)" m_tot_mub_per_cell=0.000 e_form_raw_mev_per_atom=696 pbc="T T T"
Y 0.8395 -1.9763 1.5728
Y -0.5609 1.4702 2.1467
Ru -1.9433 -1.4161 3.7621
Zn 0.0000 0.0000 0.0000
Te -2.2219 -0.9099 0.0426



5
Lattice="5.6506 0.0000 0.0000 0.0000 5.6506 0.0000 0.0000 0.0000 4.6549" Properties=species:S:1:pos:R:3 comment="Y2ZrTeRu, optimized geometry, DFT GGA-PBE" dos_ef_per_ev_cell=5.08 spacegroup="P4/mmm (123)" m_tot_mub_per_cell=0.000 e_form_raw_mev_per_atom=523 pbc="T T T"
Y 0.0000 2.8253 0.0000
Y 2.8253 0.0000 0.0000
Ru 0.0000 0.0000 2.3274
Te 2.8253 2.8253 2.3274
Zr 0.0000 0.0000 0.0000



4
Lattice="-1.9136 -3.8906 -1.9057 3.6204 1.6331 -2.5800 2.0950 -1.8858 1.7461" Properties=species:S:1:pos:R:3 comment="Zn2TeRu, optimized geometry, DFT GGA-PBE" dos_ef_per_ev_cell=2.02 spacegroup="Cmmm (65)" m_tot_mub_per_cell=0.000 e_form_raw_mev_per_atom=264 pbc="T T T"
Ru 0.0907 -2.8882 -0.0798
Te 2.8577 -0.1263 -0.4169
Zn 0.0000 0.0000 0.0000
Zn 0.8534 -1.1287 -2.2429



4
Lattice="-1.3577 4.9335 -0.2752 -2.9327 1.3181 -3.9901 -0.0759 -3.6557 3.5901" Properties=species:S:1:pos:R:3 comment="ZnTeRu2, optimized geometry, DFT GGA-PBE" dos_ef_per_ev_cell=5.29 polymorph_energy_mev_per_atom=299.1 spacegroup="I-4m2 (119)" m_tot_mub_per_cell=0.002 e_form_raw_mev_per_atom=356 pbc="T T T"
Ru 0.0000 0.0000 0.0000
Ru -2.5769 0.3941 -1.2663
Te -2.1452 3.1258 -2.1326
=====

Y 1.0108 4.0568 8.4215
Y 3.0325 4.0758 11.0614
Y 3.0325 7.7643 4.1833
Y 1.0108 0.3684 15.2996
Y 1.0108 4.4347 13.9247
Y 3.0325 3.6979 5.5582
Te 3.0325 6.0511 15.7537
Te 1.0108 2.0816 3.7291
Te 1.0108 6.1479 6.0123
Te 3.0325 1.9848 13.4705
Ru 3.0325 1.9946 8.7638
Ru 1.0108 6.1381 10.7190
Ru 1.0108 2.0718 18.5053
Ru 3.0325 6.0609 0.9776



5
Lattice="-1.1218 2.9403 4.2934 -4.4437 -1.8198 0.0852 1.6790 -3.9526 3.1457" Properties=species:S:1:pos:R:3 comment="Y2ZnTeRu, optimized geometry, DFT GGA-PBE" dos_ef_per_ev_cell=5.89 spacegroup="P4/mmm (123)" m_tot_mub_per_cell=0.000 e_form_raw_mev_per_atom=696 pbc="T T T"
Y 0.8395 -1.9763 1.5728
Y -0.5609 1.4702 2.1467
Ru -1.9433 -1.4161 3.7621
Zn 0.0000 0.0000 0.0000
Te -2.2219 -0.9099 0.0426



5
Lattice="5.6506 0.0000 0.0000 0.0000 5.6506 0.0000 0.0000 0.0000 4.6549" Properties=species:S:1:pos:R:3 comment="Y2ZrTeRu, optimized geometry, DFT GGA-PBE" dos_ef_per_ev_cell=5.08 spacegroup="P4/mmm (123)" m_tot_mub_per_cell=0.000 e_form_raw_mev_per_atom=523 pbc="T T T"
Y 0.0000 2.8253 0.0000
Y 2.8253 0.0000 0.0000
Ru 0.0000 0.0000 2.3274
Te 2.8253 2.8253 2.3274
Zr 0.0000 0.0000 0.0000



4
Lattice="-1.9136 -3.8906 -1.9057 3.6204 1.6331 -2.5800 2.0950 -1.8858 1.7461" Properties=species:S:1:pos:R:3 comment="Zn2TeRu, optimized geometry, DFT GGA-PBE" dos_ef_per_ev_cell=2.02 spacegroup="Cmmm (65)" m_tot_mub_per_cell=0.000 e_form_raw_mev_per_atom=264 pbc="T T T"
Ru 0.0907 -2.8882 -0.0798
Te 2.8577 -0.1263 -0.4169
Zn 0.0000 0.0000 0.0000
Zn 0.8534 -1.1287 -2.2429



4
Lattice="-1.3577 4.9335 -0.2752 -2.9327 1.3181 -3.9901 -0.0759 -3.6557 3.5901" Properties=species:S:1:pos:R:3 comment="ZnTeRu2, optimized geometry, DFT GGA-PBE" dos_ef_per_ev_cell=5.29 polymorph_energy_mev_per_atom=299.1 spacegroup="I-4m2 (119)" m_tot_mub_per_cell=0.002 e_form_raw_mev_per_atom=356 pbc="T T T"
Ru 0.0000 0.0000 0.0000
Ru -2.5769 0.3941 -1.2663
Te -2.1452 3.1258 -2.1326